Is there a page load hook in MDriven Turnkey? - mdriven

Is there a customizable javascript hook in MDriven Turnkey that gets called on each page load? If not, how do I add such a hook?

I think you find the answer here: MDriven wiki

It's AngularJS. Look at AngularJS to find out how you run JS when page loads.$viewContentLoaded


Sling Merger Comments

i'm curious about html comments in a page source, i can find such html comments on all pages system, or wich were created by ourselves. I guess that it comment't for sling merger or so on.
We use AEM 6.2.0 with acs commons 3.3.0, i guess it for dev's mode of something else, but i can't find how to turn it of.
I think that it's the WCM Developer Mode Filter. Try disabling it from the OSGi console and see if the output disappears.
I believe you have enabled the xray mode of TouchUI as per the document at:
You can disable this feature by deleting the node at: /etc/xraymode/enable

-- Someone pasted data records at this point --
'''
Density functional theory data (PBE) for a relaxed structure of Ba2PrTcO6.

## Properties
The calculation puts the density of states at the Fermi level at 4.332 states/eV/f.u. Its raw total energy is -7.2323 eV per atom. The spin magnetization comes out at 2.0 μB per formula unit. As for the theoretical density: 5.92 Mg/m³. For the formation energy from raw total energies, the calculation gives -2.36 eV/atom.

The structure in POSCAR format:
```
Ba2PrTcO6
1.0
6.1856 0.0000 0.0000
3.0928 5.3569 0.0000
3.0928 1.7856 10.3135
O Pr Ba Tc
12 2 4 2
direct
0.8497 0.3819 0.3864 O
0.7429 0.1839 0.8893 O
0.8161 0.2571 0.1107 O
0.2571 0.8161 0.1107 O
0.3819 0.3819 0.3864 O
0.3819 0.8497 0.3864 O
0.1839 0.7429 0.8893 O
0.6181 0.6181 0.6136 O
0.1503 0.6181 0.6136 O
0.8161 0.8161 0.1107 O
0.6181 0.1503 0.6136 O
0.1839 0.1839 0.8893 O
0.5959 0.5959 0.2124 Pr
0.4041 0.4041 0.7876 Pr
0.1377 0.1377 0.5869 Ba
0.2731 0.2731 0.1808 Ba
0.7269 0.7269 0.8192 Ba
0.8623 0.8623 0.4131 Ba
0.5000 0.5000 0.5000 Tc
0.0000 0.0000 0.0000 Tc
```

Density functional theory data (PBE) for a relaxed structure of La3Pm4Pt4.

## Properties
The calculation puts the density of states at the Fermi level at 12.049 states/eV/f.u. Its raw total energy is -6.0972 eV per atom. The spin magnetization comes out at 0.0 μB per formula unit. As for the theoretical density: 9.78 Mg/m³. As for the energy of formation: -0.829 eV/atom.

The structure in POSCAR format:
```
La3Pm4Pt4
1.0
4.7657 0.0000 0.0000
0.0000 7.8724 0.0000
-2.3829 -3.9362 8.0432
Pt Pm La
4 4 3
direct
0.5000 0.1878 0.0000 Pt
0.7965 0.2965 0.5930 Pt
0.5000 0.8122 0.0000 Pt
0.2035 0.7035 0.4070 Pt
0.6706 0.8877 0.3411 Pm
0.6706 0.4534 0.3411 Pm
0.3294 0.1123 0.6589 Pm
0.3294 0.5466 0.6589 Pm
0.0969 0.0969 0.1938 La
0.9031 0.9031 0.8062 La
0.0000 0.5000 0.0000 La
```

Density functional theory data (PBE) for a relaxed structure of ZnBOF2.

## Properties
The calculation puts the density of states at the Fermi level at 2.845 states/eV/f.u. Its raw total energy is -3.5512 eV per atom. The spin magnetization comes out at 0.8 μB per formula unit. As for the theoretical density: 3.47 Mg/m³. For the excess energy over the best structure of this formula in the dataset, the calculation gives 5.84 eV/f.u. For the formation energy from raw total energies, the calculation gives -0.22 eV/atom.

The structure in POSCAR format:
```
ZnBOF2
1.0
-0.1506 2.2754 -3.2468
-1.8796 -2.9018 -1.9464
-3.4819 1.4604 1.1850
F O Zn B
2 1 1 1
direct
0.5000 0.0000 0.0000 F
0.0000 0.5000 0.0000 F
0.0000 0.0000 0.5000 O
0.0000 0.0000 0.0000 Zn
0.5000 0.5000 0.5000 B
```

Density functional theory data (PBE) for a relaxed structure of Sm3Y6Er2Th.

## Properties
The calculation puts the density of states at the Fermi level at 16.341 states/eV/f.u. Its raw total energy is -5.7696 eV per atom. The spin magnetization comes out at 0.0 μB per formula unit. As for the theoretical density: 6.64 Mg/m³. As for the energy of formation: 0.021 eV/atom.
'''

Is it possible to embed a Gtk gui in a web page?

I created a gui using Gtk in python and I would like to embed it in a web page. I searched a little but I cannot find a way to embed it in a web page. Is there a simple way to do that?
Thank you in advance :)
Yes, you can use GTK's Broadway HTML5 backend to display your application in a web page.

Changing the Language that is processed

I created a tutorial for the Aviary with, now one of the users at my tutorial site want to know how to change the language as he is from a whole different country. My problem is I try to access the iframe though we can't because it is not the same origin. Anyone have any suggestions as how to change the language?
Ink Filepicker doesn't currently support internationalization. It's a highly requested feature.
Why not inject into the iframe after page load by locating the using jquery?

GWT website routing

I visited new GWT website and noticed that after clicking on tree items - link is changing without adding hash (for example, I know how to do url routing using hashes, but how URL routing is made in GWT website (and possibly can be made)?
Thanks in advance.
It's commonly called HTML5 PushState. A new way of dealing with the browser history by changing the URL without necessarily reloading the page. By listening on popstate events you can dynamically change your page just like using the hashtag method, with the benefit of having cleaner URLs and out of the box crawlability.
Have a look at the gwt website source. Internally uses the GQuery library (jQuery port for GWT) that leverages such pushState methodology.
EDIT: If you want to take benefit of pushState right from GWT (since it does not natively support it), you can also have a look at Johannes Barop's pushState project.

Can we connect 'phonegap api ' application with pure native application(obj-C) code

I am doing a project.
The first page should be the web page r 'phonegap api' html page.
when a perticular link r button is tapped , it should be taken to the native Application,purely obj C,Pure native App(with view controllers, table views etc).
Can we connect the html page with the pure native code? If yes, Then Plz tell me how?
Thanks in advance,
Bharath gangpalli
You could create a PhoneGap plug-in, which is a custom extension to the PhoneGap API. It includes a bit of native code that does some native-specific functionality, as well as a JavaScript interface that then exposes this functionality to you, the PhoneGap developer. By definition, a plug-in is platform-specific!
In your case, you could create a plug-in that then pushes a new View to the top of the app (overlays over the HTML page, for example).
A good place to start would be Jesse's blog post about them; note that these are specifically for iPhone:
Here are some examples of existing PhoneGap plugins, how to use them, and links within to the source code to see how they were built:
i think you can do that by using the phonegap exec function